Great Fundraising Organizations, by Alan Clayton. Book cover.

Why I chose Fight for Sight as the BIA’s charity for 2014

Howard Lake | 7 February 2014 | Blogs

The BIA has chosen Fight for Sight as its supported charity next year.
Fight for Sight, may not have the profile that some of the charities we have worked with in the past have, but I believe that its dedication to funding pioneering research to prevent sight loss and treat eye disease fits well with the goals of the BIA membership.
There are almost 1 million people – from children with inherited blindness to adults with age-related macular degeneration (AMD) – in the UK alone living with sight loss that can’t be avoided. This number is set to double, as we live longer, by 2050.
Fight for Sight’s mission is to fund pioneering research to prevent sight loss and treat eye disease. Its current research programme covers common conditions including AMD, glaucoma, cataract, diabetic retinopathy, corneal disease and trachoma, as well as inherited eye diseases, childhood eye conditions and rare eye diseases. This pioneering research is being conducted by research groups attached to 28 universities and hospitals across the UK.
Fight for Sight has been responsible for:

I hope that by being our supported charity in 2014, Fight for Sight will not only benefit from our fundraising activities, but also from a partnership with us which I hope will:

The first event for our partnership with Fight for Sight will be our flagship Gala Dinner on 30 January 2014, for which more than 500 guests are already registered.
A number of our members supported Fight for Sight’s application to work with us in 2014:


Great Fundraising Organizations, by Alan Clayton. Buy now.

“Fight for Sight relies on voluntary donations to support medical research into a wide range of eye conditions. It is so important that we support research into sight loss, a growing and little known problem that currently affects one in nine people over 60. By funding research at ground level we can provide a better understanding of the causes of eye diseases and ultimately develop new treatments.”
Susan Searle ex-CEO, Imperial Innovations and Trustee, Fight for Sight

“As the largest UK eye research charity, Fight for Sight plays a key role in supporting pioneering treatments which can improve the lives of millions of people. We, at Oxford BioMedica, know first-hand how important it is to develop new treatments for macular degeneration, glaucoma and childhood blindness. We are committed to finding new weapons to fight blindness, and determined to help people see. And we commend our industry colleagues, clinicians and organisations like Fight for Sight who are doing the same.”
Lara Mott, Head of Corporate Communications, Oxford BioMedica

“The research that Fight for Sight funds will ultimately improve the quality of life and range of treatments for people with sight loss, as well as ensuring that visual impairment isn’t an inevitability for many people who otherwise may have lost their sight. Through the wide range of interesting and challenging fundraising events available, in which I am delighted to have participated in a personal capacity, Fight for Sight’s supporters are helping to change the prospects of future generations. As a charity that relies solely on donations, Fight for Sight must continue to receive support in order to carry on this pioneering research.”
Sanjay Jawa, COO Europe, Middle East and Africa, FTI Consulting

“Eye disease is something that everybody will come across at some point in their lives, directly or indirectly, and because of this Fight for Sight is such an important charity to support.”
Deborah Harland, Partner, SR One

Here the text breaks off for molecular data:
/*
287
Properties=species:S:1:pos:R:3:lowdin_charge:R:1 method="wB97M-V/def2-TZVPD" e_lumo_ha=-0.040 fmax_ev_per_a=5.2 orbital_gap_ev=7.0 e_tot_ev=-227560.1576
C 14.98 12.42 20.27 -0.0569
C 15.41 11.49 21.24 -0.0248
C 15.07 11.74 22.59 -0.0014
C 14.45 12.97 22.90 -0.1110
C 13.96 13.79 21.86 -0.0259
C 14.13 13.49 20.54 -0.0526
N 14.35 13.21 24.38 -0.2940
O 14.82 12.42 25.15 0.0481
O 13.78 14.27 24.81 0.0237
H 15.24 12.22 19.24 0.0972
H 15.90 10.57 20.97 0.0898
H 15.43 11.08 23.37 0.1047
H 13.50 14.71 22.18 0.0978
H 13.67 14.19 19.85 0.1026
C 8.17 14.13 21.87 -0.0737
C 9.51 13.84 21.85 -0.0821
C 10.41 14.87 21.72 -0.0076
C 10.02 16.22 21.44 -0.1047
C 8.65 16.42 21.36 -0.0185
C 7.73 15.41 21.58 -0.0564
N 11.03 17.31 21.26 -0.3193
O 12.20 17.00 21.56 0.0471
O 10.68 18.38 20.85 0.0919
H 7.50 13.30 22.08 0.1121
H 9.78 12.81 22.01 0.1107
H 11.44 14.54 21.80 0.0832
H 8.24 17.40 21.18 0.1183
H 6.66 15.58 21.50 0.1109
C 21.82 11.39 20.73 -0.0836
C 21.04 11.80 21.86 -0.0443
C 20.11 10.93 22.48 -0.0003
C 19.99 9.64 21.96 -0.1281
C 20.74 9.28 20.82 -0.0043
C 21.73 10.11 20.28 -0.0736
N 19.02 8.62 22.52 -0.3446
O 18.19 8.99 23.34 0.0657
O 19.17 7.44 22.19 0.0582
H 22.49 12.09 20.25 0.1064
H 21.28 12.73 22.34 0.0981
H 19.61 11.16 23.41 0.0929
H 20.48 8.29 20.47 0.1041
H 22.40 9.78 19.50 0.1089
C 17.76 7.61 18.73 -0.0843
C 17.19 6.62 17.90 -0.0667
C 16.03 6.10 18.35 -0.0157
C 15.34 6.58 19.48 -0.1156
C 15.98 7.52 20.25 0.0016
C 17.20 8.07 19.88 -0.0833
N 14.01 6.02 19.85 -0.2505
O 13.58 5.28 18.92 0.0469
O 13.34 6.46 20.86 0.0349
H 18.68 7.95 18.27 0.1085
H 17.70 6.33 16.99 0.1117
H 15.66 5.27 17.78 0.1131
H 15.51 7.95 21.12 0.1047
H 17.81 8.81 20.37 0.0858
C 13.95 14.70 13.48 -0.0680
C 12.91 15.40 12.89 -0.0476
C 11.60 14.85 12.83 -0.0022
C 11.34 13.70 13.53 -0.1233
C 12.35 13.08 14.31 0.0052
C 13.64 13.57 14.19 -0.0914
N 9.94 13.18 13.58 -0.3180
O 9.72 12.26 14.38 0.0544
O 9.07 13.62 12.81 0.0676
H 14.95 15.11 13.54 0.0967
H 13.11 16.35 12.41 0.1037
H 10.93 15.35 12.15 0.1190
H 12.10 12.29 14.99 0.1040
H 14.48 13.01 14.58 0.0949
C 12.02 16.16 17.46 -0.0840
C 13.23 15.53 17.24 -0.0519
C 13.29 14.12 17.39 -0.0167
C 12.10 13.32 17.64 -0.1403
C 10.96 14.05 17.97 -0.0022
C 10.93 15.45 17.89 -0.0721
N 12.16 11.86 17.78 -0.3479
O 11.19 11.26 18.16 0.1216
O 13.26 11.38 17.53 0.0311
H 11.87 17.22 17.33 0.1108
H 14.12 16.11 17.05 0.0903
H 14.28 13.70 17.30 0.0924
H 10.03 13.55 18.18 0.1180
H 10.00 15.94 18.15 0.1080
O 16.43 15.38 17.19 -0.2856
P 17.81 14.87 17.32 0.5916
N 18.97 16.13 17.19 -0.2773
C 18.49 17.53 16.86 -0.0973
C 20.37 15.88 16.74 -0.1064
N 18.22 13.87 15.98 -0.2753
C 17.65 12.49 15.97 -0.1293
C 18.18 14.50 14.65 -0.1052
N 18.15 13.95 18.74 -0.2807
C 17.68 14.47 20.07 -0.0839
C 19.31 13.09 18.97 -0.1204
H 19.00 18.25 17.49 0.0760
H 17.48 17.65 17.25 0.0379
H 18.61 17.83 15.82 0.0779
H 20.76 15.09 17.39 0.0573
H 20.92 16.82 16.85 0.0836
H 20.52 15.46 15.75 0.0618
H 17.42 12.10 16.96 0.0655
H 16.71 12.45 15.41 0.0518
H 18.19 11.70 15.46 0.0773
*/

“The development of new therapies, including cell based therapies, for eye diseases is increasingly important and Fight for Sight is a leader in supporting research in this area. At the Cell Therapy Catapult we identified this as an important sector with high potential for the early success that will lead the industry forward.”
Matthew Durdy, Chief Business Officer, The Cell Therapy Catapult

“Fight for Sight is helping to keep eye research at the forefront of people’s minds, as well as giving hope to people with sight loss.”
Kate Bingham, Managing Partner, SV Life Sciences

I look forward to working with them all in our partnership with Fight for Sight in 2014.

Steve Bates, Michele Acton and Edward Hodgkin

(l-r) Steve Bates, CEO, BIA; Michele Acton, CEO, Fight for Sight; and Edward Hodgkin, BIA Chair.

This article was first published on 5 November 2013 by Steve Bates, CEO of the UK Bioindustry Association. It is republished with permission. The gala dinner event he referred to raised £31,000 for Fight for Sight last week.

